_Work order_
Your job: set down the lines further below up to the one that holds "18, 71.40,", that line included.

_Material_
/*
Record 1
Diffraction record for Pa4FeI5. The X-ray powder pattern is theoretical, not measured: it uses a PBE-relaxed structure and CuKα.
Neutral-atom scattering factors, no anomalous dispersion.

Atomic structure:
```
data_Pa4FeI5
_chemical_formula_sum 'Pa8 Fe2 I10'
_cell_length_a 18.411
_cell_length_b 3.864
_cell_length_c 9.038
_cell_angle_alpha 90.00
_cell_angle_beta 100.56
_cell_angle_gamma 90.00
_space_group_name_H-M_alt 'C 1 2/m 1'
_space_group_IT_number 12
loop_
_space_group_symop_operation_xyz
'x,y,z'
'-x,-y,-z'
'-x,y,-z'
'x,-y,z'
'x+1/2,y+1/2,z'
'-x+1/2,-y+1/2,-z'
'-x+1/2,y+1/2,-z'
'x+1/2,-y+1/2,z'
loop_
_atom_site_label
_atom_site_fract_x
_atom_site_fract_y
_atom_site_fract_z
_atom_site_occupancy
Pa1 0.002 0.000 0.316 1
Pa2 0.156 0.500 0.554 1
Fe1 0.000 0.500 0.500 1
I1 0.000 0.500 0.000 1
I2 0.166 0.000 0.836 1
I3 0.172 0.000 0.286 1
```

Top 12 peaks for 15° ≤ 2θ ≤ 90°, sorted by position:
h k l, 2theta, I_rel
3 1 -1, 28.26, 32
6 0 0, 29.61, 68
3 1 1, 30.17, 32
1 1 -2, 30.47, 100
4 0 -3, 32.99, 37
2 0 3, 33.52, 27
5 1 2, 42.07, 36
7 1 -2, 43.92, 38
0 2 0, 47.04, 20
6 2 0, 56.57, 23
1 1 5, 58.21, 12
5 1 -5, 58.63, 29

---

Record 2
Diffraction record for KEr2Se. The X-ray powder pattern is theoretical, not measured: it uses a PBE-relaxed structure and CuKα.
Neutral-atom scattering factors, no anomalous dispersion.

Atomic structure:
```
data_KEr2Se
_chemical_formula_sum 'K3 Er6 Se3'
_cell_length_a 3.8214
_cell_length_b 3.8214
_cell_length_c 32.9170
_cell_angle_alpha 90.00
_cell_angle_beta 90.00
_cell_angle_gamma 120.00
_space_group_name_H-M_alt 'R -3 m'
_space_group_IT_number 166
_space_group_name_Hall '-R 3 2"'
loop_
_atom_site_label
_atom_site_fract_x
_atom_site_fract_y
_atom_site_fract_z
_atom_site_occupancy
K1 0.0000 0.0000 0.0000 1
Er1 0.0000 0.0000 0.1142 1
Se1 0.0000 0.0000 0.5000 1
```

Top 12 peaks for 15° ≤ 2θ ≤ 90°, sorted by position:
h k l, 2theta, I_rel
0 0 9, 24.34, 42
1 0 1, 27.08, 52
0 1 2, 27.49, 31
1 0 4, 29.08, 38
0 1 5, 30.23, 100
0 1 8, 34.79, 99
1 0 10, 38.58, 49
1 0 13, 45.08, 40
1 1 0, 47.59, 51
1 1 3, 48.35, 24
1 1 9, 54.16, 28
1 1 18, 71.40, 27

---

Record 3
Diffraction record for Co2Os. The X-ray powder pattern is theoretical, not measured: it uses a PBE-relaxed structure and CuKα.
Neutral-atom scattering factors, no anomalous dispersion.

Atomic structure:
```
data_Co2Os
_chemical_formula_sum 'Co8 Os4'
_cell_length_a 9.306
_cell_length_b 2.638
_cell_length_c 6.068
_cell_angle_alpha 90.00
_cell_angle_beta 104.71
_cell_angle_gamma 90.00
_space_group_name_H-M_alt 'C 1 2/m 1'
_space_group_IT_number 12
loop_
_space_group_symop_operation_xyz
'x,y,z'
'-x,-y,-z'
'-x,y,-z'
'x,-y,z'
'x+1/2,y+1/2,z'
'-x+1/2,-y+1/2,-z'
'-x+1/2,y+1/2,-z'
'x+1/2,-y+1/2,z'
loop_
_atom_site_label
_atom_site_fract_x
_atom_site_fract_y
_atom_site_fract_z
_atom_site_occupancy
Co1 0.028 0.000 0.299 1
Co2 0.138 0.500 0.029 1
Os1 0.192 0.500 0.644 1
```

Top 12 peaks for 15° ≤ 2θ ≤ 90°, sorted by position:
h k l, 2theta, I_rel
0 0 1, 15.10, 48
2 0 0, 19.73, 41
2 0 1, 27.88, 34
1 1 -1, 37.68, 30
1 1 1, 39.77, 42
4 0 -2, 44.06, 62
1 1 -2, 45.63, 90
3 1 0, 45.80, 100
0 0 3, 46.42, 41
4 0 1, 46.76, 38
3 1 3, 73.54, 33
7 1 -2, 82.42, 23

---

Record 4
Diffraction record for TiNbP. The X-ray powder pattern is theoretical, not measured: it uses a PBE-relaxed structure and CuKα.
Neutral-atom scattering factors, no anomalous dispersion.

Atomic structure:
```
data_TiNbP
_chemical_formula_sum 'Ti3 Nb3 P3'
_cell_length_a 6.7336
_cell_length_b 6.7336
_cell_length_c 3.4725
_cell_angle_alpha 90.00
_cell_angle_beta 90.00
_cell_angle_gamma 120.00
_space_group_name_H-M_alt 'P -6 2 m'
_space_group_IT_number 189
_space_group_name_Hall 'P -6 -2'
loop_
_atom_site_label
_atom_site_fract_x
_atom_site_fract_y
_atom_site_fract_z
_atom_site_occupancy
Ti1 0.0000 0.7458 0.0000 1
Nb1 0.0000 0.4159 0.5000 1
P1 0.0000 0.0000 0.5000 1
P2 0.3333 0.6667 0.0000 1
```

Top 12 peaks for 15° ≤ 2θ ≤ 90°, sorted by position:
h k l, 2theta, I_rel
1 1 0, 26.47, 17
*/

_Worked solution_
Record 1
Diffraction record for Pa4FeI5. The X-ray powder pattern is theoretical, not measured: it uses a PBE-relaxed structure and CuKα.
Neutral-atom scattering factors, no anomalous dispersion.

Atomic structure:
```
data_Pa4FeI5
_chemical_formula_sum 'Pa8 Fe2 I10'
_cell_length_a 18.411
_cell_length_b 3.864
_cell_length_c 9.038
_cell_angle_alpha 90.00
_cell_angle_beta 100.56
_cell_angle_gamma 90.00
_space_group_name_H-M_alt 'C 1 2/m 1'
_space_group_IT_number 12
loop_
_space_group_symop_operation_xyz
'x,y,z'
'-x,-y,-z'
'-x,y,-z'
'x,-y,z'
'x+1/2,y+1/2,z'
'-x+1/2,-y+1/2,-z'
'-x+1/2,y+1/2,-z'
'x+1/2,-y+1/2,z'
loop_
_atom_site_label
_atom_site_fract_x
_atom_site_fract_y
_atom_site_fract_z
_atom_site_occupancy
Pa1 0.002 0.000 0.316 1
Pa2 0.156 0.500 0.554 1
Fe1 0.000 0.500 0.500 1
I1 0.000 0.500 0.000 1
I2 0.166 0.000 0.836 1
I3 0.172 0.000 0.286 1
```

Top 12 peaks for 15° ≤ 2θ ≤ 90°, sorted by position:
h k l, 2theta, I_rel
3 1 -1, 28.26, 32
6 0 0, 29.61, 68
3 1 1, 30.17, 32
1 1 -2, 30.47, 100
4 0 -3, 32.99, 37
2 0 3, 33.52, 27
5 1 2, 42.07, 36
7 1 -2, 43.92, 38
0 2 0, 47.04, 20
6 2 0, 56.57, 23
1 1 5, 58.21, 12
5 1 -5, 58.63, 29

---

Record 2
Diffraction record for KEr2Se. The X-ray powder pattern is theoretical, not measured: it uses a PBE-relaxed structure and CuKα.
Neutral-atom scattering factors, no anomalous dispersion.

Atomic structure:
```
data_KEr2Se
_chemical_formula_sum 'K3 Er6 Se3'
_cell_length_a 3.8214
_cell_length_b 3.8214
_cell_length_c 32.9170
_cell_angle_alpha 90.00
_cell_angle_beta 90.00
_cell_angle_gamma 120.00
_space_group_name_H-M_alt 'R -3 m'
_space_group_IT_number 166
_space_group_name_Hall '-R 3 2"'
loop_
_atom_site_label
_atom_site_fract_x
_atom_site_fract_y
_atom_site_fract_z
_atom_site_occupancy
K1 0.0000 0.0000 0.0000 1
Er1 0.0000 0.0000 0.1142 1
Se1 0.0000 0.0000 0.5000 1
```

Top 12 peaks for 15° ≤ 2θ ≤ 90°, sorted by position:
h k l, 2theta, I_rel
0 0 9, 24.34, 42
1 0 1, 27.08, 52
0 1 2, 27.49, 31
1 0 4, 29.08, 38
0 1 5, 30.23, 100
0 1 8, 34.79, 99
1 0 10, 38.58, 49
1 0 13, 45.08, 40
1 1 0, 47.59, 51
1 1 3, 48.35, 24
1 1 9, 54.16, 28
1 1 18, 71.40, 27